1998 From: Center for the Advancement of Health
Diabetes: Kids Respond Better To 'Can Do' Than To ThreatsPhysicians and other health care providers tend to warn patients about the consequences of not sticking with their prescribed treatments, but researchers now say they may be going about it the wrong way. Nicole Palardy, MA, and colleagues at The University of Alabama,Tuscaloosa and Birmingham, surveyed 101 adolescents aged 11-17 who were diagnosed with insulin-dependent diabetes mellitus (IDDM). They suggest that young people with IDDM might be more likely to respond to messages that build up their ability to stick with prescribed treatments than to those that emphasize the negative consequences of not following their treatment plans. "Nonadherence to medical treatments is a prevalent problem that poses serious risks to the health status of chronically ill patients," they write in the January issue of the Journal of Developmental and Behavioral Pediatrics. "Practitioners attempt to address this problem by communicating to their patients the negative consequences oif nonadherence." Acknowledging that patients' health attitudes significantly influence whether or not they stick with their treatment plans, the researchers set out to compare attitudes and match them to reported adherence levels. They measured the youths' frequency of adherence to their treatment plans during the previous seven days, then examined the adolescents' responses to five factors, two asking about "threat appraisals":
Vulnerability - What was the likelihood that they would get sick if they didn't follow the treatment. Would they have an insulin reaction, get gangrene, or renal failure? Severity of risks - How sick did they think they would get if they didn't stick with the plan? Would they miss one day of school? Several days of school? Would they die?
And three asking about "coping appraisals":
### Misplaced records of crystals
=====
No. 1
VASP calculation (PBE-GGA) on a relaxed ScSbRh2 crystal.

Space group: I-42d
Formation energy (no corrections) (kJ/mol of formula units): -129

Lattice parameters (Å, degrees): 9.216 9.216 9.216 153.53 153.53 37.79
Fractional coordinates of all 8 atoms:
Sc 0.000 0.000 0.000
Sc 0.750 0.250 0.500
Sb 0.250 0.750 0.500
Sb 0.500 0.500 0.000
Rh 0.134 0.625 0.009
Rh 0.375 0.384 0.509
Rh 0.616 0.125 0.991
Rh 0.875 0.866 0.491

No. 2
VASP calculation (PBE-GGA) on a relaxed BaAlInAu3 crystal.

Space group: Cmcm
Energy (eV/f.u.): -21.02

Lattice parameters (Å, degrees): 7.524 7.524 6.903 90.00 90.00 122.41
Fractional coordinates of all 12 atoms:
Ba 0.225 0.775 0.750
Ba 0.775 0.225 0.250
Al 0.089 0.911 0.250
Al 0.911 0.089 0.750
In 0.482 0.518 0.250
In 0.518 0.482 0.750
Au 0.202 0.202 0.000
Au 0.202 0.202 0.500
Au 0.275 0.725 0.250
Au 0.725 0.275 0.750
Au 0.798 0.798 0.000
Au 0.798 0.798 0.500

* * * * *

[1]
# TcOsRh2 (meta-GGA SCAN, PBEsol geometry)
data_TcOsRh2
_chemical_formula_sum 'Tc1 Os1 Rh2'
_cell_length_a 3.215
_cell_length_b 3.215
_cell_length_c 5.416
_cell_angle_alpha 90.00
_cell_angle_beta 90.00
_cell_angle_gamma 90.00
_symmetry_space_group_name_H-M 'P 4 m m'
_symmetry_Int_Tables_number 99
loop_
_symmetry_equiv_pos_as_xyz
'x,y,z'
'-y,x,z'
'-x,-y,z'
'y,-x,z'
'-x,y,z'
'y,x,z'
'x,-y,z'
'-y,-x,z'
loop_
_atom_site_label
_atom_site_fract_x
_atom_site_fract_y
_atom_site_fract_z
Tc1 0.000 0.000 0.000
Os1 0.500 0.500 0.250
Rh1 0.000 0.000 0.503
Rh2 0.500 0.500 0.747
# E_form in eV per atom: 0.33
# E above lowest polymorph in meV/atom: 417
# Density of states at the Fermi level in states/eV per cell: 4.1

=====

[2]
# Sr2PdSe (meta-GGA SCAN, PBEsol geometry)
data_Sr2PdSe
_chemical_formula_sum 'Sr8 Pd4 Se4'
_cell_length_a 7.773
_cell_length_b 7.773
_cell_length_c 8.414
_cell_angle_alpha 90.00
_cell_angle_beta 90.00
_cell_angle_gamma 90.00
_symmetry_space_group_name_H-M 'I -4 2 d'
_symmetry_Int_Tables_number 122
_symmetry_space_group_name_Hall 'I -4 2bw'
loop_
_atom_site_label
_atom_site_fract_x
_atom_site_fract_y
_atom_site_fract_z
Sr1 0.247 0.250 0.125
Pd1 0.000 0.000 0.000
Se1 0.000 0.000 0.500
# Uncorrected energy in eV/cell: -406.91

=====

[3]
# Zr2Ga2Pt (meta-GGA SCAN, PBEsol geometry)
data_Zr2Ga2Pt
_chemical_formula_sum 'Zr4 Ga4 Pt2'
_cell_length_a 6.479
_cell_length_b 6.479
_cell_length_c 4.144
_cell_angle_alpha 90.00
_cell_angle_beta 90.00
_cell_angle_gamma 90.00
_symmetry_space_group_name_H-M 'P 4/m b m'
_symmetry_Int_Tables_number 127
_symmetry_space_group_name_Hall '-P 4 2ab'
loop_
_atom_site_label
_atom_site_fract_x
_atom_site_fract_y
_atom_site_fract_z
Zr1 0.172 0.328 0.000
Ga1 0.135 0.635 0.500
Pt1 0.000 0.000 0.500
# E_form in eV per atom: -1.02
# Density of states at the Fermi level in states/eV per cell: 3.4

=====

[4]
# IrRuPt (meta-GGA SCAN, PBEsol geometry)
data_IrRuPt
_chemical_formula_sum 'Ir2 Ru2 Pt2'
_cell_length_a 2.699
_cell_length_b 2.699
_cell_length_c 11.620
_cell_angle_alpha 90.00
_cell_angle_beta 90.00
=====
### The page goes on
Response efficacy - How effective did they consider the four major components of their treatments (insulin injections, blood glucose monitoring, diet, and exercise)? Self-efficacy - How much did they believe they could carry out the treatment tasks? Response costs - How important were the "personal costs" of treatment, such as pain, inconvenience, and embarrassment?
Most of the adolescents who thought that following the treatment plan includes some "personal costs" were less likely to adhere to the full treatment, the researchers found. They suggested that "health messages that address the coping appraisal process, e.g., response costs, might be more effective for increasing adherence to treatments than messages that focus on the threat appraisal process, e.g., risks of non adherence. Challenging cognitions concerning response costs and altering adolescents' lifestyles to involve fewer response costs might also enhance adherence to...treatment." The study was supported in part by a grant from The University of Alabama Research Grants Committee